The reader should duplicate every line below that contains the word "These".

-- begin --
Formula: C4H10O
Source: the OMol25 dataset
Level of theory: the ωB97M-V functional and the def2-TZVPD basis

```
15
Properties=species:S:1:pos:R:3
C 2.009 -0.369 -0.387
O 0.680 -0.815 -0.418
C -0.298 0.187 -0.192
C -1.593 -0.352 -0.782
C -0.453 0.505 1.295
H 2.640 -1.256 -0.480
H 2.261 0.142 0.553
H 2.229 0.307 -1.226
H -0.002 1.109 -0.719
H -1.875 -1.265 -0.248
H -1.458 -0.599 -1.839
H -2.407 0.374 -0.688
H -1.300 1.182 1.451
H 0.437 0.984 1.715
H -0.641 -0.421 1.847
```

- Relative energy (zero: lowest compared OMol25 entry of this formula, charge and spin): 12.8 kcal/mol
- Structure (SMILES): COC(C)C
- Multiplicity: 1
- HOMO: -9.726 eV
- Kohn-Sham gap: 10.9 eV
- Max |F|: 0.0051 hartree/bohr

These are the Löwdin partial charges, in e, on atoms 1 to 6:
1 C -0.12
2 O -0.18
3 C -0.48
4 C -0.05
5 C -0.05
6 H 0.09


[1]
72
Properties=species:S:1:pos:R:3:forces:R:3 method="wB97M-V/def2-TZVPD" total_energy_ev=-99524.49936 max_force_ev_per_a=1.84 total_charge=+1 homo_ev=-9.1 orbital_gap_ev=6.53
In -0.0712 1.0794 0.4325 -0.06 -0.12 0.34
N 3.8739 1.6186 2.4709 -0.08 0.29 -0.27
C 3.7230 0.4011 3.0846 -0.53 -0.62 0.04
C 4.5295 -0.3079 3.9622 0.02 0.02 0.03
C 4.0485 -1.5238 4.3996 0.07 0.09 0.01
C 2.7964 -2.0016 4.0003 -0.14 -0.09 -0.06
C 1.9962 -1.3090 3.1185 0.01 0.10 -0.04
C 2.4824 -0.1009 2.6255 0.79 -0.15 0.57
N 1.9522 0.7933 1.7360 -0.37 0.74 -0.88
C 2.7907 1.8036 1.6730 0.12 -0.48 0.41
C 2.5683 2.9732 0.8630 0.58 1.15 -0.09
C 3.2949 4.1364 0.8502 -0.30 -0.23 -0.11
S 2.6279 5.2442 -0.2694 -0.17 -0.57 0.13
C 1.4256 4.0798 -0.6539 0.27 0.61 -0.14
N 1.5145 2.9753 0.0040 -0.48 -0.84 0.02
H 4.6362 2.2634 2.6002 -0.04 -0.07 -0.05
H 5.4850 0.0726 4.2874 0.10 0.03 0.05
H 4.6437 -2.1182 5.0744 0.06 -0.03 0.09
H 2.4444 -2.9384 4.4011 -0.03 -0.12 0.06
H 1.0172 -1.6692 2.8418 -0.04 -0.04 -0.01
H 4.1494 4.4007 1.4409 0.18 0.04 0.11
H 0.6793 4.2830 -1.3982 -0.20 -0.01 -0.13
C -3.2296 2.8887 3.4196 0.01 -0.02 0.03
C -2.4906 2.0644 2.3970 -0.04 -0.05 -0.16
S -0.7646 2.4029 2.4094 0.22 -0.22 -0.50
C -3.1243 1.1988 1.5943 0.09 0.02 0.01
C -4.6173 1.0123 1.5775 0.11 0.01 0.05
S -2.3826 0.1558 0.3825 0.72 0.09 -0.15
H -2.5128 3.4861 3.9767 -0.15 0.10 0.09
H -3.7538 2.2401 4.1201 -0.08 0.06 0.08
H -3.9525 3.5524 2.9460 -0.04 0.08 0.06
H -5.1055 1.5470 2.3848 -0.08 0.03 0.05
H -4.8569 -0.0479 1.6598 -0.11 -0.02 0.03
H -5.0158 1.3650 0.6245 -0.10 0.01 -0.01
O 0.7702 -0.9954 -0.3037 0.23 1.36 -0.30
S 0.3196 -2.3032 0.2680 -0.40 -1.74 -0.43
C -1.0565 -2.9226 -0.8063 0.04 0.14 0.20
C -0.8956 -2.5771 -2.2773 0.16 0.18 -0.05
C -1.3291 -1.1318 -2.5497 0.01 -0.08 0.20
C -0.5966 -0.4585 -3.6909 0.06 0.52 0.23
S -0.2550 1.3206 -3.3052 -1.10 -0.47 -0.71
O 0.3330 1.3409 -1.9311 0.43 0.13 1.07
C -1.9599 1.9099 -3.0824 0.30 0.00 -0.19
C -2.1980 2.8174 -2.0622 0.31 -0.04 0.08
C -3.4696 3.3326 -1.8763 0.02 -0.01 -0.03
C -4.4989 2.9435 -2.7185 0.02 0.03 0.06
C -4.2506 2.0619 -3.7586 0.00 0.00 -0.01
C -2.9768 1.5541 -3.9540 -0.01 -0.08 -0.03
C 1.5471 -3.4885 -0.3312 -0.20 0.15 0.33
C 1.6448 -4.7008 0.3349 -0.07 0.07 0.05
C 2.5308 -5.6599 -0.1251 0.00 -0.04 -0.07
C 3.2984 -5.4059 -1.2525 0.01 -0.03 -0.02
C 3.2000 -4.1885 -1.9069 -0.02 0.03 0.03
C 2.3334 -3.2153 -1.4358 0.00 0.24 0.00
H -1.9696 -2.4844 -0.4047 0.00 -0.02 0.14
H -1.0712 -3.9974 -0.6368 0.03 -0.07 0.12
H -1.4862 -3.2755 -2.8735 0.06 -0.04 0.03
H 0.1484 -2.7194 -2.5595 -0.02 -0.05 -0.13
H -1.1029 -0.5583 -1.6527 -0.17 -0.03 -0.13
H -2.4082 -1.0906 -2.6979 0.01 0.10 0.05
H -1.1206 -0.4857 -4.6421 0.04 0.03 -0.15
H 0.3984 -0.8800 -3.8303 0.11 0.08 -0.07
H -1.3863 3.1146 -1.4068 -0.11 -0.02 0.03
H -3.6493 4.0363 -1.0762 -0.02 0.00 0.05
H -5.4940 3.3322 -2.5668 -0.09 0.04 0.00
H -5.0508 1.7667 -4.4212 -0.03 -0.01 -0.05
H -2.7990 0.8798 -4.7773 0.02 -0.08 -0.08
H 1.0346 -4.8898 1.2059 -0.06 -0.05 0.13
H 2.6174 -6.6069 0.3871 0.00 -0.03 0.04
H 3.9797 -6.1569 -1.6228 0.05 -0.07 -0.01
H 3.7905 -3.9947 -2.7900 0.09 0.02 -0.02
H 2.2768 -2.2443 -1.9065 -0.01 0.07 -0.03

---

[2]
18
-- stop --

These are the Löwdin partial charges, in e, on atoms 1 to 6: